Showing posts with label chickens. Show all posts
Showing posts with label chickens. Show all posts

Friday, 24 February 2017

A Person's a Person, No Matter How Small

A friend I met when both our eldest children were small has just become a grandmother for the first time. Her beautiful daughter gave birth to a perfect little boy on the 7th of February (my birthday). He was a little over eager to come into the world as he wasn't due until late April, the wee mite was 11 weeks early and only 3lbs.

_Next to the piece, the page also holds materials data_
........
No. 1
Density functional theory data (PBEsol) for a geometry-optimized KBrCl2 structure.

```
KBrCl2
1.0
-4.375 -0.182 1.390
1.063 -3.401 2.899
1.172 3.950 4.204
K Br Cl
1 1 2
direct
0.000 0.000 0.489
0.500 0.500 0.699
0.000 0.000 0.992
0.500 0.500 0.320
```

Its uncorrected formation energy is -703.2 meV/atom. Its density of states at the Fermi level is 2.37 states/eV/cell. Its space-group type is P4mm, No. 99.



No. 2
Density functional theory data (PBEsol) for a geometry-optimized KBrCl2 structure.

```
KBrCl2
1.0
-3.094 -1.704 2.921
1.735 -0.440 5.177
-2.018 3.628 3.574
K Br Cl
1 1 2
direct
0.500 0.000 0.000
0.000 0.500 0.500
0.297 0.703 0.703
0.703 0.297 0.297
```

Its uncorrected formation energy is -688.4 meV/atom. Its density of states at the Fermi level is 4.02 states/eV/cell. Its space-group type is Immm, No. 71.



No. 3
Density functional theory data (PBEsol) for a geometry-optimized K2BrCl structure.

```
K2BrCl
1.0
-1.933 -4.043 0.457
1.008 -2.590 3.545
-5.869 0.882 5.175
K Br Cl
2 1 1
direct
0.754 0.754 0.738
0.246 0.246 0.262
0.000 0.000 0.000
0.500 0.500 0.500
```

Its uncorrected formation energy is -1831.3 meV/atom. Its density of states at the Fermi level is 0.00 states/eV/cell. As for the energy above the most stable polymorph in this dataset: 0.000 eV per atom. Its space-group type is R-3m, No. 166.

~~~~~

# 1
A plane-wave DFT calculation with GGA-PBE was carried out for a relaxed structure of CsHoNiS3.

a b c (Å): 7.9655 7.9655 10.4354
angles (deg): 90.00 90.00 151.22
Element x y z (fractional)
Cs (0.2418, 0.7582, 0.7500)
Cs (0.7582, 0.2418, 0.2500)
Ho (0.5000, 0.5000, 0.0000)
Ho (0.5000, 0.5000, 0.5000)
Ni (0.0322, 0.9678, 0.2500)
Ni (0.9678, 0.0322, 0.7500)
S (0.1118, 0.8882, 0.0678)
S (0.1118, 0.8882, 0.4322)
S (0.4540, 0.5460, 0.2500)
S (0.5460, 0.4540, 0.7500)
S (0.8882, 0.1118, 0.5678)
S (0.8882, 0.1118, 0.9322)

distance to the lowest polymorph of the same formula = 0.0155 eV per atom
electronic total energy = -62.339 eV for the cell shown
M_tot = 3.89 μB/cell

---

# 2
A plane-wave DFT calculation with GGA-PBE was carried out for a relaxed structure of InIrSe2.

a b c (Å): 3.5231 3.5231 9.2022
angles (deg): 90.00 90.00 120.00
Element x y z (fractional)
In (0.0000, 0.0000, 0.0000)
Ir (0.3333, 0.6667, 0.5000)
Se (0.0000, 0.0000, 0.3371)
Se (0.0000, 0.0000, 0.6629)

electronic total energy = -18.276 eV for the cell shown
M_tot = 0.01 μB/cell

---

Question: Which formula does entry 1 have?
Answer: CsHoNiS3

---

Question: Which formula does entry 1 have?
Answer: CsHoNiS3

---

Question: What is the formula in the first record?
Answer: CsHoNiS3

---

Repeat the first record exactly.
A plane-wave DFT calculation with GGA-PBE was carried out for a relaxed structure of CsHoNiS3.

a b c (Å): 7.9655 7.9655 10.4354
angles (deg): 90.00 90.00 151.22
Element x y z (fractional)
Cs (0.2418, 0.7582, 0.7500)
Cs (0.7582, 0.2418, 0.2500)
Ho (0.5000, 0.5000, 0.0000)
Ho (0.5000, 0.5000, 0.5000)
Ni (0.0322, 0.9678, 0.2500)
........

Thank goodness he is doing well, breathing on his own from the beginning, has now moved from the intensive care baby unit to the next one up! I've seen pictures and he is beautiful, such perfect skin, blonde hair and so tiny and sweet.

On the wall in the baby unit is a well know Dr. Seuss quote

What a lovely quote to have around so many tiny babies. It made me think about the Whos from Whoville and Thing 1 and 2 from Cat in the Hat... which made me think about wee willie winkie and his night cap.

So with some lovely soft baby blue yarn, I crocheted one up for the new little man.

With a lovely big pom pom on the end

It's been half term this week, so Imogen has had the week off school... well most of the week, the drama teacher had them in Monday and Tuesday for rehearsals and they're back again over the weekend, quite a hard taskmaster for a school play. I felt like we'd barely seen her, so Wednesday we popped to a garden centre for a wander around and a cavery for lunch.

It was a lovely dinner. Imogen and I had a small, but it was still very filling... did you see the enormous Yorkshire pudding!

Afterwards we walked it off with a look at all the goodies, many of them were Easter themed, chicks and bunnies everywhere!

I was quite taken with this giant stag, he had a giant price tag too!

I love tortoises and thought it was rather cute how he was arranged peeping through the bushes.

Treated myself to this cute vase, it'll look lovely on the kitchen windowsill with some pretty flowers in it.

These little airplanes really caught my eye, I loved the way they hung down in tiny terracotta pots. The picture is a little deceiving as there's no point of reference to see how small they are.

Half term seems to have passed in a flash, but most weeks do don't they. I have a chicken roasting in the oven and lots of roasted veggies so I suppose I should think about dishing it up to my hungry family.

Take care

Tuesday, 26 March 2013

The girls are laying again...

We were starting to think our girls weren't going to lay any more eggs for us, it's been ages since we had any fresh eggs from our hens.

Then... woo hoo... Andy went to feed and clean them out and came back with a bag full of lovely, big fresh eggs.

I think I'll use some to make a quiche or 2, and omelets are definitely on the menu - yum! We made a pizza for tea last night, it was delicious.

You can't beat a home made pizza, so much nicer than what the shops sell and you can top it with your favourite things. I keep meaning to get on top of my organisation skills (or lack of) and make a couple more to freeze as it's always handy to have something quick to grab.

The puppies are getting bigger and starting to venture out and about in their playpen. They are just so cute, 2 are very like their dad, and the other 2 more like mum. Prepare for puppy picture overload :)

And if that wasn't sweet enough for you, I'll leave you with a picture of the very tasty chocolate caramel slices we've made.

Take care

Wednesday, 23 January 2013

Pasta All Round

I'm not the biggest pasta fan in the world, but hubby loves pasta and it can make a quick and filling meal, especially on a cold winter's evening.

I made 2 different dishes, one with tuna, cheese and black pepper for Adam

and one for us with chopped up gammon , garlic and cheese.

I also cooked a pan of pasta just for the chickens. Poor things need all the help they can dealing with this freezing weather.

Lots of decluttering going on, I've completely cleared out my wardrobe with just the aid of bags! I hung up clothes I know I'm going to wear and feel comfortable in, had a bag for items to go to the local charity shop and a bag for items that I can use as fabric. It's now a pleasure to open my wardrobe doors and look inside instead of fighting with what's in there!

Meanwhile Imogen has been enjoying the snow, though even she is now getting quite fed up with it all.

Take care

Monday, 14 January 2013

Snow and First Word

The snow has been falling steadily all day, lightly and not settling at first, but then thick and fast soon becoming inches thick. I do think it looks so pretty out the window, but so great for those out and about in it (children being the exception of course!).

Imogen couldn't wait to pull her boots on when she came home from school and played outside until her small hands were frozen inside her woolly gloves!

Meanwhile, Phoebe has said her first proper word! We've had lots of imitating sounds (the phone ringing is particularly accurate... unfortunately!), whistles and trills, but we now have a very clear 'Hello'. Every time she says it I have to smile at my clever girl.

Before I go let me show you my lovely Swallows that Andrew treated me to. It's not the best picture, but I know just the place to hang them and I'll take another picture.

Here's one of the books Andrew bought me for Christmas 'The Happiness Project' by Gretchen Rubin. I've popped it next to my bed and I'm looking forward to having a dip in it tonight.

Don't you think my tablecloth is cute, loving chickens!

Take care

Monday, 30 July 2012

How to grow a chicken

Find a nice big pot and fill with compost, leaving a few inches from the top to allow for your chicken to stretch and ruffle it's feathers.

Plant an egg... try to use a nice fresh one. I pinched this one just in time...

Remember to water your chicken well and feed regularly, then... hey presto...

Your very own chicken...

Take care

Wednesday, 30 May 2012

Chicken Catastrophe?

I was hoping I would be posting this evening about our beautiful new addition to the hen house, Daphne, a Light Sussex.

Instead, it's more of a plea for help! We have 2 Rhode Island Reds, about 3/4 years old, Bella and Sylvie. Lovely girls, they follow Andy about the garden and let him feed them from his hands. We saw the Light Sussex hens and explained about our existing girls as we were worried about a new addition perhaps being bullied. The people in the shop had Bluebells as well as Light Sussex hens and told us that the Bluebells could well be bullied, but Light Sussex are a hardy breed and it shouldn't be a problem.

_Records of crystals, kept here for reference_
-- begin --
No. 1
# TlTcAgTe3

An optimized crystal structure of TlTcAgTe3 (PBE, the Open Quantum Materials Database).

Properties
- calculated total energy (eV per atom) = -4.231
- total magnetic moment (μB/atom) = 0.00

a = 8.3435 Å, b = 3.9602 Å, c = 10.3904 Å
α = 90.00°, β = 111.90°, γ = 90.00°
Last column: nearest neighbours and their distance in Å.
Space group P2_1/m (No. 11)
One atom of each set of equivalent atoms:
Tl 0.2466 0.2500 0.2857  8 Te 3.47-3.81, 2 Ag 3.70
Tc 0.2947 0.7500 0.8318  6 Te 2.70-2.77
Ag 0.0627 0.2500 0.6134  4 Te 2.77-2.92, 2 Ag 2.96, 2 Tc 3.09
Te 0.1105 0.2500 0.8921  2 Tc 2.72, 1 Ag 2.77
Te 0.2965 0.7500 0.5725  1 Tc 2.70, 3 Ag 2.90-2.92
Te 0.4619 0.7500 0.1174  3 Tc 2.74-2.77

No. 2
# SrIrW

An optimized crystal structure of SrIrW (PBE, the Open Quantum Materials Database).

Properties
- calculated total energy (eV per atom) = -5.481
- total magnetic moment (μB/atom) = 1.12

a = 6.7002 Å, b = 6.7002 Å, c = 6.7002 Å
α = 90.00°, β = 90.00°, γ = 90.00°
Last column: nearest neighbours and their distance in Å.
Space group F-43m (No. 216)
One atom of each set of equivalent atoms:
Sr 0.0000 0.0000 0.0000  4 W 2.90, 4 Ir 2.90
Ir 0.2500 0.2500 0.7500  4 Sr 2.90
W 0.2500 0.2500 0.2500  4 Sr 2.90

No. 3
# DyCdInSe3

An optimized crystal structure of DyCdInSe3 (PBE, the Open Quantum Materials Database).

Properties
- calculated total energy (eV per atom) = -4.123
- total magnetic moment (μB/atom) = 0.00

a = 4.2143 Å, b = 14.5063 Å, c = 11.0671 Å
α = 90.00°, β = 90.00°, γ = 90.00°
Last column: nearest neighbours and their distance in Å.
Space group Cmcm (No. 63)
One atom of each set of equivalent atoms:
Dy 0.0000 0.0000 0.0000  6 Se 2.91-2.97
Cd 0.0000 0.4580 0.2500  4 Se 2.62-2.71
In 0.0000 0.2520 0.7500  6 Se 3.28-3.53
Se 0.0000 0.0750 0.2500  2 Cd 2.71, 2 Dy 2.97
Se 0.0000 0.3660 0.0462  1 Cd 2.62, 2 Dy 2.91

No. 4
# NdSCl

An optimized crystal structure of NdSCl (PBE, the Open Quantum Materials Database).

Properties
- calculated total energy (eV per atom) = -5.766
- total magnetic moment (μB/atom) = 0.00

a = 6.9030 Å, b = 6.9417 Å, c = 6.9844 Å
α = 90.00°, β = 100.93°, γ = 90.00°
Last column: nearest neighbours and their distance in Å.
Space group P2_1/c (No. 14)
One atom of each set of equivalent atoms:
Nd 0.1908 0.0413 0.2932  4 S 2.81-2.83, 3 Cl 2.90-2.96
S 0.0566 0.7431 0.5106  4 Nd 2.81-2.83
Cl 0.4329 0.1525 0.6728  3 Nd 2.90-2.96

No. 5
# ZrBeFeGe

An optimized crystal structure of ZrBeFeGe (PBE, the Open Quantum Materials Database).

Properties
- calculated total energy (eV per atom) = -6.256
- total magnetic moment (μB/atom) = 0.28

a = 6.1332 Å, b = 6.1332 Å, c = 6.1332 Å
α = 90.00°, β = 90.00°, γ = 90.00°
Last column: nearest neighbours and their distance in Å.
Space group F-43m (No. 216)
One atom of each set of equivalent atoms:
Zr 0.0000 0.0000 0.0000  4 Ge 2.66, 4 Fe 2.66
Be 0.0000 0.0000 0.5000  4 Ge 2.66, 4 Fe 2.66
Fe 0.2500 0.2500 0.2500  4 Zr 2.66, 4 Be 2.66
Ge 0.2500 0.2500 0.7500  4 Zr 2.66, 4 Be 2.66

No. 6
-- stop --

We brought Daphne home, very excited to slowly introduce her to her new hen mates...

She had a scratch and peck around the garden, seemed quite content to amble about.

Meanwhile Bella and Sylvie, who were still in their coop, were not happy at all! Andy let them out, and though they were chattering away, all the chickens seemed happy enough to scratch about

Then, almost in tandem, they ruffled up their feathers and attacked each other. Both Rhode Islands have been chattering away as though complaining, and I just don't think we should consider putting them all together in the same coop despite what the shop said, I'd be so worried that one gets hurt!

Andy's putting something together as I write for Daphne to sleep in tonight, but any advice would be very appreciated.

Thank you